== Input ==
/*
1.
Material: BaGd2CuO5
Method: DFT, PBE
State: optimized geometry

Output
Its total magnetization is 13.00 μB/f.u. The theoretical density comes out at 7.6 Mg/m³. As for the calculated volume: 523.7 Å³/cell. For the MP2020-corrected energy, the calculation gives -344.5 eV for the cell shown.

a = 12.3767 Å, b = 5.7672 Å, c = 7.3373 Å
α = 90.00°, β = 90.00°, γ = 90.00°
Positions (direct):
Ba1 0.4062 0.2500 0.5722
Ba2 0.9062 0.2500 0.9278
Ba3 0.5938 0.7500 0.4278
Ba4 0.0938 0.7500 0.0722
Gd1 0.7876 0.2500 0.3851
Gd2 0.2876 0.2500 0.1149
Gd3 0.2124 0.7500 0.6149
Gd4 0.7124 0.7500 0.8851
Gd5 0.5741 0.2500 0.1038
Gd6 0.0741 0.2500 0.3962
Gd7 0.4259 0.7500 0.8962
Gd8 0.9259 0.7500 0.6038
Cu1 0.1610 0.2500 0.7835
Cu2 0.6610 0.2500 0.7165
Cu3 0.8390 0.7500 0.2165
Cu4 0.3390 0.7500 0.2835
O1 0.9327 0.9921 0.3338
O2 0.4327 0.5079 0.1662
O3 0.0673 0.4921 0.6662
O4 0.5673 0.0079 0.8338
O5 0.0673 0.0079 0.6662
O6 0.5673 0.4921 0.8338
O7 0.9327 0.5079 0.3338
O8 0.4327 0.9921 0.1662
O9 0.7276 0.5059 0.1455
O10 0.2276 0.9941 0.3545
O11 0.2724 0.0059 0.8545
O12 0.7724 0.4941 0.6455
O13 0.2724 0.4941 0.8545
O14 0.7724 0.0059 0.6455
O15 0.7276 0.9941 0.1455
O16 0.2276 0.5059 0.3545
O17 0.5999 0.2500 0.4175
O18 0.0999 0.2500 0.0825
O19 0.4001 0.7500 0.5825
O20 0.9001 0.7500 0.9175

2.
Material: Ba4PrGdCu6O14
Method: DFT, PBE
State: optimized geometry

Output
Its total magnetization is 6.92 μB/f.u. The theoretical density comes out at 6.6 Mg/m³. As for the calculated volume: 363.8 Å³/cell. For the MP2020-corrected energy, the calculation gives -176.4 eV for the cell shown.

a = 3.8743 Å, b = 3.9474 Å, c = 23.7853 Å
α = 90.00°, β = 90.00°, γ = 90.00°
Positions (direct):
Ba1 0.5000 0.5000 0.0901
Ba2 0.5000 0.5000 0.5896
Ba3 0.5000 0.5000 0.4099
Ba4 0.5000 0.5000 0.9104
Pr1 0.5000 0.5000 0.7500
Gd1 0.5000 0.5000 0.2500
Cu1 0.0000 0.0000 0.1750
Cu2 0.0000 0.0000 0.6725
Cu3 0.0000 0.0000 0.3250
Cu4 0.0000 0.0000 0.8275
Cu5 0.0000 0.0000 0.0002
Cu6 0.0000 0.0000 0.4998
O1 0.0000 0.0000 0.0793
O2 0.0000 0.0000 0.5787
O3 0.0000 0.0000 0.4207
O4 0.0000 0.0000 0.9213
O5 0.0000 0.5000 0.0003
O6 0.0000 0.5000 0.4997
O7 0.5000 0.0000 0.1887
O8 0.5000 0.0000 0.6853
O9 0.5000 0.0000 0.3113
O10 0.5000 0.0000 0.8147
O11 0.0000 0.5000 0.1882
O12 0.0000 0.5000 0.6848
O13 0.0000 0.5000 0.3118
O14 0.0000 0.5000 0.8152

3.
Material: Ba10Gd4YCu15O35
Method: DFT, PBE
State: optimized geometry

Output
Its total magnetization is 0.00 μB/f.u. The theoretical density comes out at 6.7 Mg/m³. As for the calculated volume: 895.4 Å³/cell. For the MP2020-corrected energy, the calculation gives -457.7 eV for the cell shown.

a = 3.9282 Å, b = 11.8462 Å, c = 19.2408 Å
α = 90.00°, β = 90.00°, γ = 90.00°
Positions (direct):
Ba1 0.5000 0.1801 0.1000
Ba2 0.5000 0.1801 0.2999
Ba3 0.5000 0.1801 0.5001
Ba4 0.5000 0.1801 0.7000
Ba5 0.5000 0.1805 0.9000
Ba6 0.5000 0.8199 0.1000
Ba7 0.5000 0.8199 0.2999
Ba8 0.5000 0.8199 0.5001
Ba9 0.5000 0.8199 0.7000
Ba10 0.5000 0.8195 0.9000
Gd1 0.5000 0.5000 0.0998
Gd2 0.5000 0.5000 0.2999
Gd3 0.5000 0.5000 0.5001
Gd4 0.5000 0.5000 0.7002
Y1 0.5000 0.5000 0.9000
Cu1 0.0000 0.3514 0.9996
Cu2 0.0000 0.3508 0.1999
Cu3 0.0000 0.3508 0.4000
Cu4 0.0000 0.3508 0.6001
Cu5 0.0000 0.3514 0.8004
Cu6 0.0000 0.6486 0.9996
Cu7 0.0000 0.6492 0.1999
Cu8 0.0000 0.6492 0.4000
Cu9 0.0000 0.6492 0.6001
Cu10 0.0000 0.6486 0.8004
Cu11 0.0000 0.0000 0.0000
Cu12 0.0000 0.0000 0.2000
Cu13 0.0000 0.0000 0.4000
Cu14 0.0000 0.0000 0.6000
Cu15 0.0000 0.0000 0.8000
O1 0.0000 0.1585 0.9999
O2 0.0000 0.1582 0.2000
O3 0.0000 0.1583 0.4000
O4 0.0000 0.1582 0.6000
O5 0.0000 0.1585 0.8001
O6 0.0000 0.8415 0.9999
O7 0.0000 0.8418 0.2000
O8 0.0000 0.8417 0.4000
O9 0.0000 0.8418 0.6000
O10 0.0000 0.8415 0.8001
O11 0.5000 0.3774 0.9988
O12 0.5000 0.3761 0.1999
O13 0.5000 0.3761 0.4000
O14 0.5000 0.3761 0.6001
O15 0.5000 0.3774 0.8012
O16 0.5000 0.6226 0.9988
O17 0.5000 0.6239 0.1999
O18 0.5000 0.6239 0.4000
O19 0.5000 0.6239 0.6001
O20 0.5000 0.6226 0.8012
O21 0.5000 0.0000 0.0000
*/
== Brief ==
Start at the top of the entries above and type out each line, ending with the one that has "O15 0.5000".
== Response ==
1.
Material: BaGd2CuO5
Method: DFT, PBE
State: optimized geometry

Output
Its total magnetization is 13.00 μB/f.u. The theoretical density comes out at 7.6 Mg/m³. As for the calculated volume: 523.7 Å³/cell. For the MP2020-corrected energy, the calculation gives -344.5 eV for the cell shown.

a = 12.3767 Å, b = 5.7672 Å, c = 7.3373 Å
α = 90.00°, β = 90.00°, γ = 90.00°
Positions (direct):
Ba1 0.4062 0.2500 0.5722
Ba2 0.9062 0.2500 0.9278
Ba3 0.5938 0.7500 0.4278
Ba4 0.0938 0.7500 0.0722
Gd1 0.7876 0.2500 0.3851
Gd2 0.2876 0.2500 0.1149
Gd3 0.2124 0.7500 0.6149
Gd4 0.7124 0.7500 0.8851
Gd5 0.5741 0.2500 0.1038
Gd6 0.0741 0.2500 0.3962
Gd7 0.4259 0.7500 0.8962
Gd8 0.9259 0.7500 0.6038
Cu1 0.1610 0.2500 0.7835
Cu2 0.6610 0.2500 0.7165
Cu3 0.8390 0.7500 0.2165
Cu4 0.3390 0.7500 0.2835
O1 0.9327 0.9921 0.3338
O2 0.4327 0.5079 0.1662
O3 0.0673 0.4921 0.6662
O4 0.5673 0.0079 0.8338
O5 0.0673 0.0079 0.6662
O6 0.5673 0.4921 0.8338
O7 0.9327 0.5079 0.3338
O8 0.4327 0.9921 0.1662
O9 0.7276 0.5059 0.1455
O10 0.2276 0.9941 0.3545
O11 0.2724 0.0059 0.8545
O12 0.7724 0.4941 0.6455
O13 0.2724 0.4941 0.8545
O14 0.7724 0.0059 0.6455
O15 0.7276 0.9941 0.1455
O16 0.2276 0.5059 0.3545
O17 0.5999 0.2500 0.4175
O18 0.0999 0.2500 0.0825
O19 0.4001 0.7500 0.5825
O20 0.9001 0.7500 0.9175

2.
Material: Ba4PrGdCu6O14
Method: DFT, PBE
State: optimized geometry

Output
Its total magnetization is 6.92 μB/f.u. The theoretical density comes out at 6.6 Mg/m³. As for the calculated volume: 363.8 Å³/cell. For the MP2020-corrected energy, the calculation gives -176.4 eV for the cell shown.

a = 3.8743 Å, b = 3.9474 Å, c = 23.7853 Å
α = 90.00°, β = 90.00°, γ = 90.00°
Positions (direct):
Ba1 0.5000 0.5000 0.0901
Ba2 0.5000 0.5000 0.5896
Ba3 0.5000 0.5000 0.4099
Ba4 0.5000 0.5000 0.9104
Pr1 0.5000 0.5000 0.7500
Gd1 0.5000 0.5000 0.2500
Cu1 0.0000 0.0000 0.1750
Cu2 0.0000 0.0000 0.6725
Cu3 0.0000 0.0000 0.3250
Cu4 0.0000 0.0000 0.8275
Cu5 0.0000 0.0000 0.0002
Cu6 0.0000 0.0000 0.4998
O1 0.0000 0.0000 0.0793
O2 0.0000 0.0000 0.5787
O3 0.0000 0.0000 0.4207
O4 0.0000 0.0000 0.9213
O5 0.0000 0.5000 0.0003
O6 0.0000 0.5000 0.4997
O7 0.5000 0.0000 0.1887
O8 0.5000 0.0000 0.6853
O9 0.5000 0.0000 0.3113
O10 0.5000 0.0000 0.8147
O11 0.0000 0.5000 0.1882
O12 0.0000 0.5000 0.6848
O13 0.0000 0.5000 0.3118
O14 0.0000 0.5000 0.8152

3.
Material: Ba10Gd4YCu15O35
Method: DFT, PBE
State: optimized geometry

Output
Its total magnetization is 0.00 μB/f.u. The theoretical density comes out at 6.7 Mg/m³. As for the calculated volume: 895.4 Å³/cell. For the MP2020-corrected energy, the calculation gives -457.7 eV for the cell shown.

a = 3.9282 Å, b = 11.8462 Å, c = 19.2408 Å
α = 90.00°, β = 90.00°, γ = 90.00°
Positions (direct):
Ba1 0.5000 0.1801 0.1000
Ba2 0.5000 0.1801 0.2999
Ba3 0.5000 0.1801 0.5001
Ba4 0.5000 0.1801 0.7000
Ba5 0.5000 0.1805 0.9000
Ba6 0.5000 0.8199 0.1000
Ba7 0.5000 0.8199 0.2999
Ba8 0.5000 0.8199 0.5001
Ba9 0.5000 0.8199 0.7000
Ba10 0.5000 0.8195 0.9000
Gd1 0.5000 0.5000 0.0998
Gd2 0.5000 0.5000 0.2999
Gd3 0.5000 0.5000 0.5001
Gd4 0.5000 0.5000 0.7002
Y1 0.5000 0.5000 0.9000
Cu1 0.0000 0.3514 0.9996
Cu2 0.0000 0.3508 0.1999
Cu3 0.0000 0.3508 0.4000
Cu4 0.0000 0.3508 0.6001
Cu5 0.0000 0.3514 0.8004
Cu6 0.0000 0.6486 0.9996
Cu7 0.0000 0.6492 0.1999
Cu8 0.0000 0.6492 0.4000
Cu9 0.0000 0.6492 0.6001
Cu10 0.0000 0.6486 0.8004
Cu11 0.0000 0.0000 0.0000
Cu12 0.0000 0.0000 0.2000
Cu13 0.0000 0.0000 0.4000
Cu14 0.0000 0.0000 0.6000
Cu15 0.0000 0.0000 0.8000
O1 0.0000 0.1585 0.9999
O2 0.0000 0.1582 0.2000
O3 0.0000 0.1583 0.4000
O4 0.0000 0.1582 0.6000
O5 0.0000 0.1585 0.8001
O6 0.0000 0.8415 0.9999
O7 0.0000 0.8418 0.2000
O8 0.0000 0.8417 0.4000
O9 0.0000 0.8418 0.6000
O10 0.0000 0.8415 0.8001
O11 0.5000 0.3774 0.9988
O12 0.5000 0.3761 0.1999
O13 0.5000 0.3761 0.4000
O14 0.5000 0.3761 0.6001
O15 0.5000 0.3774 0.8012